Chapter One Hundred and Ten - He has an unexpected reunion

Groups of exploring and wandering visiting students would naturally cross paths with the Institute's students. Most of these meetings were peaceful for the most part; the students of the Ascending Mountain Institute had been warned to not provoke and not rise to provocation. Not that most of the visiting students sought to instigate irritation and force tempers, but there would always be those that had no eloquence or those who could not help want to test others amongst students from all places of learning. There was a spat of visits to the Healing Halls despite the efforts of Teachers and most students.

There were not just chance meetings either, but happened also the occasional reunion.

Tor washed his hands of dirt and strands of straw, laughing along with the others as two of his friends chased each other after one splashed the other with the soiled water. He and these young men and women had taken on the chore of mucking out the stalls in the stables of the outer alchemy school for points.  A number of beast companions hovered close by; the shadow macaw belonging to the pranked victim was flying along side it's master pecking at the clothes of the prankster they chased.

Crystal structures, as found in the file:
+++
A relaxed PtBr2 crystal. Source: Alexandria, functional PBE.

The structure in extended XYZ format:
```
3
Lattice="3.638 0.000 0.000 -1.819 6.112 -0.304 0.000 -0.938 4.755" Properties=species:S:1:pos:R:3 pbc="T T T"
Pt 0.000 0.000 0.000
Br 1.819 1.494 0.705
Br 0.000 3.681 3.747
```

Output
Formation energy from raw total energies, kJ per mole of atoms: -16.7
Total moment, μB/cell: 0.00


Record 1
Density functional theory data (PBE+U) for a geometry-optimized Y2CoCuF structure.

crystal system: tetragonal
space group: P4/mmm

Unit cell a=5.4468 b=5.4468 c=3.8748 alpha=90.00 beta=90.00 gamma=90.00
Positions (direct):
Y 0.0000 0.5000 0.0000
Y 0.5000 0.0000 0.0000
Co 0.0000 0.0000 0.5000
Cu 0.5000 0.5000 0.0000
F 0.5000 0.5000 0.5000


Record 2
Density functional theory data (PBE+U) for a geometry-optimized YCoCuF2 structure.

crystal system: tetragonal
space group: P4/mmm

Unit cell a=4.2073 b=4.2073 c=6.0775 alpha=90.00 beta=90.00 gamma=90.00
Positions (direct):
Y 0.0000 0.0000 0.0000
Co 0.5000 0.5000 0.5000
Cu 0.0000 0.0000 0.5000
F 0.0000 0.5000 0.0000
F 0.5000 0.0000 0.0000


Q: Which energy values were calculated for the entries above? A: -0.1746 -0.1920, in Ha/atom.
Q: Which size of the total moment values were calculated for the entries above? A: 0.132 0.511, in μB/atom.
Q: Which DOS(E_F) values were calculated for the entries above? A: 5.45 2.77, in states/eV per cell.
+++
Back to the page:

The stables located on the outskirts of his former school were easily the most sizeable following the two beast taming schools' own.  Geographically, the outer alchemist school was located closest to Julip Town, which was also why the one of the main griffin nests were also here.  Most expeditions would begin here, Teachers and students from all schools gathering here first, borrowing mounts or claiming their own faithful steeds before heading on their way.  Thus the greatest number of Institute owned beasts resided here.  Also, of all of the schools' students, it could be claimed that those studying alchemy travelled the most about the Institute, most likely delivering pills and potions to the locations most in need or for purposes of personal trade.

The towering heights in which the mage and scholars schools were located favoured griffin nests for purposes of internal travel, while the martial arts students all preferred to rely on the lightfoot skills (or were forced to practice using them) so while smaller beasts might be found dotted around the schools thanks to their masters' presences, these schools had little or no need for actual stables.  At most, a Teacher might build their prize steed a place close to their personal residences for the beast to rest within.

Tor often found himself volunteering for tasks involving the outer alchemist school stables, though he didn't think it was so much about nostalgia. In fact, apart from hanging about these same stables during the time he'd attended this section of the Institute, he couldn't think of many good days during his past as an alchemist student and any good memories were tainted with the guilt and shame of his actions during those times. One face always came to mind in particular, one face beaten black and blue to the point that the owner's hair had turned partially white from deviation. Tor sighed inwardly; perhaps he was a masochist to keep reminding himself of that time, perhaps coming here was his personal penance. That one victim had forgiven him, but he hadn't forgiven himself.

An excited bark roused him from his dark mood and a grin lifted his lips as he turned to find his best friend, who'd attracted the attention of a group of unfamiliar girls.

"Aiya! So cute!" One cooed as she attempted to coax the blue-furred hound over to them. "It's a cooshee, right?"

"I never realised thought that cooshee were so fluffy!"

Tor rolled his eyes heavenward as he realised that Xiào Xiào had puffed out its fur until it resembled a giant puffball with four legs, two ears and a smaller puffball attached to its rear. Even the ends of its hind feathers had fluffed up like a certain wild herb's seed heads. Cooshee's tended to do this when nervous, cold or when courting potential mates, but Xiào Xiào also did this to look cute and gain extra treats. As a beast companion to a tamer, it was a bit of a softie.

Seeing as the girls didn't have the treats it wanted, it relaxed it's fur until smooth along its canine form and the tips of its feathers once more resembled flickering white tipped flames, its six black eyes blinking in disdain. Then it turned to hurry over to its Master's side. "Silly fool," Tor muttered fondly, before patting down its long ears.

"Is it yours?" The girls that had been snubbed without realising it, changed their trajectory and headed his way. His prankster friend had stopped running, now stood next to him, elbowing him in the ribs, suggestively. Tor shoved him back discreetly, while the shadow macaw's owner smacked him around the head.

The girls were too taken by the Cooshee to be bothered by the boys roughhousing and continued to want to know him due to his beast. "Where did you get it?"

"Xiào Xiào is from a rescued litter," Tor answered, honestly.

"Aw, I was hoping you knew someone with a breeding pair," the girl couldn't help exclaim, her friends nodding in agreement.

"Sorry," Tor apologised to be polite.

"Will it breed soon? What will you do with the pups?"

Tor couldn't help choke on the bluntness of the question. Xiào Xiào was less than a year old, cooshee tended only to begin such things at two years, so it wasn't something that had occurred to him either. Still, it wasn't wrong for Tamers to consider such things, but he really couldn't imagine Xiào Xiào in rut. He looked down at his best friend with a pained expression, but the young hound simply tilted his head, ignorantly.

"Or maybe you'd be willing to trade the cooshee with me for something..."

"Song Lan!" The girl making the proposition was tugged back sharply by her friend, who had noted most quickly that the tall, amicable youth before them had suddenly become cold and unyielding.  She knew that her friend had taken things too far.  She sighed and attempted to explain for her thoughtless friend.  "Please don't take her words to heart.  Song Lan is a mage, doesn't understand the bond between Tamers and their beasts."  The other girl frowned, unhappily, still not understanding what she had done wrong.

"Don't be foolish," another friend chided her.  "It's true this young cooshee is cute now, but it is still a dangerous beast at the end of the day, not a pet."

"I still don't see the problem," the unrepentant girl muttered, her arms crossed about her chest.  "My older sister owns a tiger that everyone warned her was too dangerous to keep, but it acts like a soft pillow around her!  This beast is smaller and much more adorable, how is it more dangerous than a tiger?!"

"Song Lan," the girl who'd first warned her said plainly, "that tiger was raised by your sister as a cub and can only be considered ordinary.  There are still risks even then.  A cooshee is a beast with cultivation potential and it will grow to be far stronger and more powerful than Song Ren's tiger."

[1]
Here is a relaxed structure of CaTc3Bi from Alexandria via LeMat-Bulk. Energies are from GGA-PBE.

Output
The energy is -5.132 eV/atom. The value obtained for the density of states at the Fermi level is 4.83 states/eV/cell.

a b c (Å): 4.770 4.770 4.770
angles (deg): 90.00 90.00 90.00
Space group Pm-3m (No. 221)
Symmetry-distinct sites (fractional):
Ca (0.000, 0.000, 0.000) x1
Tc (0.000, 0.000, 0.500) x3
Bi (0.500, 0.500, 0.500) x1

---

[2]
Here is a relaxed structure of NaSr2Th from Alexandria via LeMat-Bulk. Energies are from GGA-PBE.

Output
The energy is -2.626 eV/atom. The value obtained for the density of states at the Fermi level is 14.77 states/eV/cell.

a b c (Å): 3.7047 3.7047 42.1577
angles (deg): 90.00 90.00 120.00
Space group R-3m (No. 166, hexagonal axes)
Symmetry-distinct sites (fractional):
Na (0.0000, 0.0000, 0.0000) x3
Sr (0.0000, 0.0000, 0.4134) x6
Th (0.0000, 0.0000, 0.5000) x3

---

[3]
Here is a relaxed structure of ZnMo2H from Alexandria via LeMat-Bulk. Energies are from GGA-PBE.

Output
The energy is -6.420 eV/atom. The value obtained for the density of states at the Fermi level is 11.80 states/eV/cell.

a b c (Å): 2.8566 2.8566 20.7965
angles (deg): 90.00 90.00 120.00
Space group R3m (No. 160, hexagonal axes)
Symmetry-distinct sites (fractional):
Zn (0.0000, 0.0000, 0.0000) x3
Mo (0.0000, 0.0000, 0.2240) x3
Mo (0.0000, 0.0000, 0.4426) x3
H (0.0000, 0.0000, 0.8326) x3

---

[4]
Here is a relaxed structure of V2RuPbCl from Alexandria via LeMat-Bulk. Energies are from GGA-PBE.

Output
The energy is -4.591 eV/atom. The value obtained for the density of states at the Fermi level is 13.60 states/eV/cell. For the formation energy from raw total energies, the calculation gives 2022 meV/atom.

a b c (Å): 5.249 5.249 5.337
angles (deg): 90.00 90.00 90.00
Space group P4/mmm (No. 123)
Symmetry-distinct sites (fractional):
V (0.000, 0.500, 0.000) x2
Ru (0.000, 0.000, 0.500) x1
Pb (0.500, 0.500, 0.000) x1
Cl (0.500, 0.500, 0.500) x1

---

[5]
Here is a relaxed structure of CuAsP from Alexandria via LeMat-Bulk. Energies are from GGA-PBE.

Output
The energy is -4.179 eV/atom. The value obtained for the density of states at the Fermi level is 2.40 states/eV/cell.

a b c (Å): 4.1340 4.1340 6.7167
angles (deg): 90.00 90.00 120.00
Space group P6_3/mmc (No. 194)
Symmetry-distinct sites (fractional):
Cu (0.3333, 0.6667, 0.2500) x2
As (0.3333, 0.6667, 0.7500) x2
P (0.0000, 0.0000, 0.0000) x2

---

[6]
Here is a relaxed structure of LiTlMo2 from Alexandria via LeMat-Bulk. Energies are from GGA-PBE.

Output
The energy is -6.010 eV/atom. The value obtained for the density of states at the Fermi level is 5.89 states/eV/cell.

a b c (Å): 6.453 6.453 6.453
angles (deg): 90.00 90.00 90.00
Space group F-43m (No. 216)
Symmetry-distinct sites (fractional):
Li (0.000, 0.000, 0.000) x4
Tl (0.250, 0.250, 0.250) x4
Mo (0.000, 0.000, 0.500) x4
Mo (0.250, 0.250, 0.750) x4

---

[7]

"Gao Ran, you meanie!" Having lost the argument, Song Lan resorted to tears.  "You never let me have what I want!"

Watching this, Tor immediately became uncomfortable and his friend whistled softly before retreating in a roundabout manner, leaving Tor to get himself out of the tight spot alone.  However, Tor was at a loss.  There weren't many females in his family and those there were tended to be on the tougher side being the wives and daughters of beast tamers, martial artists and the like.  His own mother was one of the softest, most sensitive women he knew, but she'd never resorted to such a tactic.  Then again, she'd been born the daughter of a Concubine and not of the main branch of his maternal family.  She hadn't been particularly favoured, but while she wasn't treated badly, she grew up knowing that tears would not aid her in anyway.  So the only time he'd ever seen her cry was when her Concubine mother passed away two years prior.

"I wouldn't want such a cooshee if I were you," an unpleasant voice boomed over the shrill cries of the spoiled young woman suddenly.  "Who knows what mongrel bloodlines that thing has!  Just like it's Master!"

The cooshee growled as Tor's frame stiffened, his aura becoming dark and hostile.  Just this alone startled the group of girls and the tearful Song Lan instantly stopped crying as she flinched.  As one, they glanced back to see a group of young masters in quality silk clothing all led by a young man of rounded stature.  With beady eyes, he looked over the girls as well as the Institutes' students with unveiled disdain.  "A dog for a dog, makes sense if you think about it," the large youth sneered.

_Between two parts of the text: materials data_
/*
(1)
Here is a relaxed Tm3CoSe2 crystal from Alexandria via LeMat-Bulk. Energies are from PBE.

Crystal system = orthorhombic
Magnetization = 0.00 μB per formula unit
Formation energy (no corrections) = -1.129 eV/atom

The structure in extended XYZ format:
```
6
Lattice="-0.4752 1.3004 -3.5644 5.5528 1.0507 -0.3569 -1.5906 -6.9448 -0.2706" Properties=species:S:1:pos:R:3 pbc="T T T"
Tm 0.6762 -4.1143 -1.5912
Tm 0.0000 0.0000 0.0000
Tm 2.8108 -0.4795 -2.6007
Co 2.7764 0.5253 -0.1785
Se 0.0955 -1.3767 -2.5661
Se 3.3915 -3.2170 -1.6258
```



(2)
Here is a relaxed Tm4CoSe2 crystal from Alexandria via LeMat-Bulk. Energies are from PBE.

Crystal system = orthorhombic
Magnetization = 0.00 μB per formula unit
Formation energy (no corrections) = -1.008 eV/atom

The structure in extended XYZ format:
```
14
Lattice="-1.3378 -3.1731 -1.4371 6.3016 0.6462 -2.4488 4.9236 -6.9799 10.8283" Properties=species:S:1:pos:R:3 pbc="T T T"
Tm 5.3840 -4.7817 5.5460
Tm 4.5034 -4.7252 1.3965
Tm 3.3271 -3.0576 -1.1905
Tm 6.5603 -6.4493 8.1330
Tm 8.2244 -7.6897 4.4784
Tm 1.6630 -1.8171 2.4641
Tm -0.6689 -1.5866 -0.7186
Tm 1.7929 -5.0765 4.6956
Co 5.6640 -2.4850 0.2143
Co 4.2234 -7.0218 6.7281
Se 7.9495 -8.7675 7.1141
Se 1.9379 -0.7393 -0.1716
Se 6.1526 -6.2201 3.1622
Se 3.7348 -3.2867 3.7803
```



(3)
Here is a relaxed U6CoSe12 crystal from Alexandria via LeMat-Bulk. Energies are from PBE.

Crystal system = trigonal
Magnetization = 14.93 μB per formula unit
Formation energy (no corrections) = -0.986 eV/atom

The structure in extended XYZ format:
```
19
Lattice="8.0593 -0.1200 -0.1438 -1.3404 7.9479 -0.1438 -1.3404 -1.5617 7.7943" Properties=species:S:1:pos:R:3 pbc="T T T"
U 4.0375 6.2647 2.6618
U 4.5083 2.0481 0.8673
U -0.2018 4.5301 2.1701
U 1.3409 0.0015 4.8450
U 0.8701 4.2181 6.6395
U 5.5802 1.7361 5.3367
Co 0.0000 0.0000 0.0000
Se 5.2939 3.7790 3.1466
Se 1.5901 5.5997 4.2804
Se 2.9327 2.0585 6.2744
Se 0.0845 2.4873 4.3602
Se 3.7883 0.6666 3.2264
Se 2.4457 4.2077 1.2324
Se -1.2185 7.2195 2.2244
Se -1.9424 4.0580 7.2174
Se 4.3056 7.3344 0.0060
Se 6.5969 -0.9533 5.2824
Se 7.3208 2.2082 0.2894
Se 1.0728 -1.0682 7.5008
```

----------

Record 1
BAs2PbBr after structural relaxation. Source: the Alexandria database, functional PBE-GGA.

abc: 5.505 5.505 5.810
angles: 90.00 90.00 90.00
Space group P4/mmm (No. 123)
One atom of each set of equivalent atoms:
1 B 0.000 0.000 0.000
2 As 0.000 0.500 0.500
3 Pb 0.500 0.500 0.500
4 Br 0.500 0.500 0.000

Calculated values
DFT total energy, eV per atom: -2.662
Total magnetization, μB/f.u.: 1.8


Record 2
BAsPbBr2 after structural relaxation. Source: the Alexandria database, functional PBE-GGA.

abc: 5.019 5.019 4.509
angles: 90.00 90.00 90.00
Space group P4/mmm (No. 123)
One atom of each set of equivalent atoms:
1 B 0.000 0.000 0.000
2 As 0.000 0.000 0.500
3 Pb 0.500 0.500 0.500
4 Br 0.000 0.500 0.000

Calculated values
DFT total energy, eV per atom: -3.202
Total magnetization, μB/f.u.: 0.0


Record 3
*/
_The text goes on_

Tor didn't rise to his provocation, but his tone was frigid like ice.  "What do you want, Caprian?"